If workers were asked to move books, it would take time and effort to speak, and it would make the house very noisy.

But using Gu Yixin is different. He can carry all the books in the box downstairs at once, and the whole journey will not exceed five minutes.

Therefore, Lu Mingshi's compliment is out of sincerity, which is very pleasant.

Gu Yixin was very moved by Lu Mingshi's encouragement, so he volunteered to go upstairs and took down many books.


Why do they have to move the book from upstairs to downstairs to read?

This is about the structure of the Lu family study.

For a rich family like the Lu family, the study is naturally not an ordinary study.

Wang Yuyan's family has Langhuan Blessed Land, Murong Fu's family also has Shishui Pavilion, and Lu Mingshi's family has a self-built library.

The library of the Lu family is larger than the average municipal library. The collection of books is rich in content and wide in scope. They are coded and stored neatly.

Like many university libraries, there are regular and dense stacks.

Commonly used books are placed in the general library for reading at any time.

(The entry is interrupted by materials data)
********
(1)
VASP calculation (PBE+U) on NiSO10 after structural relaxation.

The structure in POSCAR format:
```
NiSO10
1.0
6.544 0.000 0.000
0.000 6.544 0.000
0.000 0.000 15.393
Ni S O
4 4 40
Cartesian
1.415 1.415 0.000
1.857 4.686 11.545
4.686 1.857 3.848
5.129 5.129 7.697
1.400 5.144 3.848
1.872 1.872 7.697
4.672 4.672 0.000
5.144 1.400 11.545
0.072 5.282 8.794
0.362 4.686 12.547
0.418 2.133 7.621
0.532 2.261 14.000
0.768 5.722 2.619
0.822 5.775 5.077
1.011 3.804 10.151
1.139 3.690 3.773
1.262 6.472 14.296
1.414 2.910 1.003
1.858 6.181 10.542
2.010 3.200 12.642
2.133 0.418 7.772
2.261 0.532 1.394
2.450 2.503 6.467
2.503 2.450 8.926
2.740 5.533 12.938
2.853 5.405 3.923
2.910 1.414 14.390
3.200 2.010 2.751
3.343 4.534 10.447
3.634 5.130 6.694
3.690 1.139 11.620
3.804 1.011 5.242
4.040 4.094 1.229
4.094 4.040 14.164
4.283 6.012 9.090
4.410 6.125 0.075
4.534 3.343 4.946
4.686 0.362 2.846
5.130 3.634 8.699
5.282 0.072 6.599
5.405 2.853 11.470
5.533 2.740 2.455
5.722 0.768 12.774
5.775 0.822 10.316
6.012 4.283 6.303
6.125 4.410 15.318
6.181 1.858 4.851
6.472 1.262 1.097
```

Calculated values
As for the offset from the most stable computed form: 0.000 eV per atom. The symmetry is P4_32_12.

=====

(2)
VASP calculation (PBE+U) on BaV13O18 after structural relaxation.

The structure in POSCAR format:
```
BaV13O18
1.0
6.597 3.809 2.501
-6.597 3.809 2.501
0.000 -7.617 2.501
Ba V O
1 13 18
Cartesian
0.000 0.000 0.000
-3.237 -4.277 3.790
-5.322 0.665 3.713
-2.801 -1.186 3.729
-0.373 -3.019 3.774
-2.428 1.833 3.774
2.085 -4.942 3.713
0.000 0.000 3.751
-2.085 4.942 3.790
2.428 -1.833 3.729
0.373 3.019 3.729
2.801 1.186 3.774
5.322 -0.665 3.790
3.237 4.277 3.713
-2.183 -2.891 2.581
-4.065 1.950 2.586
0.344 -4.495 2.586
-1.828 0.256 2.662
-3.721 -2.545 4.917
0.692 -1.712 2.662
-1.412 3.337 2.581
-3.596 0.445 4.922
-1.136 -1.455 4.840
1.136 1.455 2.662
3.596 -0.445 2.581
1.412 -3.337 4.922
-0.692 1.712 4.840
3.721 2.545 2.586
1.828 -0.256 4.840
-0.344 4.495 4.917
4.065 -1.950 4.917
2.183 2.891 4.922
```

Calculated values
As for the offset from the most stable computed form: 0.000 eV per atom. The symmetry is R-3.

=====

(3)
VASP calculation (PBE+U) on Na6TeMo6H44O46 after structural relaxation.

The structure in POSCAR format:
```
Na6TeMo6H44O46
1.0
10.352 0.000 0.000
-2.826 10.335 0.000
-4.666 -1.293 10.032
Na Te Mo H O
6 1 6 44 46
Cartesian
-1.612 2.017 3.430
0.354 1.557 0.674
-2.501 3.048 9.530
5.360 5.994 0.503
2.505 7.485 9.358
4.471 7.025 6.603
2.843 -0.646 5.016
-1.829 7.066 5.928
0.082 6.857 3.204
0.905 -0.441 7.726
1.955 9.483 2.306
2.777 2.185 6.828
4.688 1.976 4.104
-2.058 6.499 0.573
-4.028 2.047 7.011
-2.829 -0.350 6.052
-2.335 4.855 3.117
-3.016 9.615 2.249
-4.478 5.088 7.987
-0.687 4.236 0.914
-2.504 2.391 6.767
-4.951 8.572 8.567
-0.398 -0.545 4.487
-4.915 7.508 9.652
-1.530 9.404 1.909
-3.678 5.554 9.956
-0.860 3.606 5.726
-1.588 0.294 9.435
-0.310 2.167 6.050
0.797 3.363 3.188
-2.603 6.172 9.024
1.421 1.972 3.517
3.219 1.701 0.967
********

The infrequent and obscure ancient books are stored in the dense library in order to save space and facilitate the organization.

There is no gap between the rows of bookshelves here for anyone to read. You must take out the books before you can read them.

This time, in order to give the cub a good name that is loud and elegant, original and full of meaning, they can't wait to turn out all their ancient books.

Gu Yixin, who didn't like to read, saw the regular script and cursive script in official script and running script.

It's really blind.

Lu Mingshi closed the Western sonnet, pressed his eyebrows, and said tiredly: "I wrote more than 20 names, but I am not satisfied. It is either too obscure and not catchy, or it is difficult to write and remember."

Gu Yixin said immediately: "It's hard to write and remember, but it's not enough."

Not catching the name may also reduce the probability that the teacher will answer questions by name in class.

But it's hard to write. What if the child is punished for copying his name 500 times?

Gu Yixin, who has a heavy shadow on his elementary school teacher, is determined not to give children difficult names.

The hardships I have experienced, must not be added to my children!

Lu Mingshi nodded and agreed: "I think it is not good to blindly pursue meaning. The key to a good name is to suit our cubs."

Be unique and related to the cub.

The two looked at each other.

"It's better to call..."

"I can't compare..."

The two finally reached an agreement.


In the afternoon, the two went to the account with the cubs.

When Lu Mingshi cautiously hugged the cubs from the back seat of the car, countless citizens who also came to do various registration tasks were boiling.

"Oh my God! Isn't that Mr. Lu? Is he completely healthy? I thought he would be in a wheelchair all the time. It's great to recover!"

"Yes, the stock price of Lu's Group has nearly doubled this month. If I were him, I would stand up happy even if I had a stroke."

"Oh my God, whose child is the little baby he is holding? Is it true that the rumor is true that the child was born by Mr. Lu himself. He retired for half a year to go home and have a child?"

"Impossible, you see that this kid should be three months old! It's not the right amount of time!"

Everyone was talking about it. Gu Yixin also got out of the car, carrying the baby's small package, feeding bottle, diaper, milk powder, constant temperature water saliva towel and other things.

The crowd was silent for a moment.

Then it boils again!

This time it boiled even harder than the last time.

what is this?

This is love!

The two inseparable in the legend, and the old lovers who took each other together, finally appeared side by side in the public's sight again!

And the crystallization of their love.

At this moment, everyone who was deeply moved had no time to think about who gave birth to the child.

The picture is so harmonious, does it matter who is born?

The crowd watched the two walk into the hall with their children.

The staff who received them turned out to be the one who helped them register their marriage last time.

Gu Yixin thought, this is mainly because the author is too lazy.

Too lazy, really.

The tall man held the cub and sat on the stool in front of the window with imposing manner.

The cub spit out another saliva bubble involuntarily.

The registration brother's eyes were deeply attracted by the cub, and he stared at the little babe unwillingly.

"Hello, what you need is..."

Lu Mingshi subconsciously hugged the cub tighter, a cold expression in his eyes.

And Gu Yixin looked at his eyes and immediately took the cub from Lu Mingshi's arms with full alertness.

Gu Yixin has a very deceptive face.

Compared with Lu Mingshi, although Gu Yixin's posture of holding the cub is not so skilled, the soft cub with his extremely beautiful face can basically make people sing the Virgin Mary at a glance.

However, the look in this Maria's eyes was too malicious, so cruel that she was saying, "Just look at it and you will be killed."

Comparing the two, Lu Mingshi is very kind.

Recalling the last time, the beautiful boy in front of him raised the prize cradle with one hand, and the little brother shrank his neck tremblingly. He and another little brother both lifted up panting, but Gu Yixin didn't even shed a drop of sweat...

Lu Mingshi pressed his big palm on the edge of the table threateningly.

"Go to the account."

"Ok, yes..."

After receiving the materials, the little brother quickly entered it.

When he had registered all the other information, and when it was his turn to enter the baby's name, the little brother was confused when he faced the piece of paper with at least 25 names written on it.

Paper is good paper.

Words are good words.

Lu Mingshi's handwritten handwriting, how could it be bad.

He knows every word.

The issue is……

"Two, two gentlemen." The little brother asked tremblingly when he spread the piece of paper to Gu Yixin and Lu Ming, "Which one is your baby's name?"

Lu Mingshi glanced at it and said affirmatively, "I'm sorry, this page is all his nickname, and his name is written on the back."


Twenty-five nicknames?

Gu Yixin explained: "These are the names we collected from netizens. They are a part of the wishes of netizens. Although they did not adopt them, we decided to use them as children's nicknames to thank them."

The little brother was a little touched: "It's so sweet."

The little brother turned the paper over naturally.

Then his expression collapsed again.

"Two, two gentlemen." The little brother repeated the action just now melancholy, and asked, "Do you have two children's names?"

There are six big characters written in black and white.


Lu Jiujin,

Gu Zhangting.


Lu Mingshi looked calm.

"Yes," he said.

The little brother struggled to explain: "But, uh, there can only be one big name in the system, or you should discuss it again..."

Lu Mingshi resolutely said: "No, neither of these two names can be given up. They are so nice."


Gu Yixin thought for a while and said: "Actually I think..."

The younger brother also said sincerely: "Actually, I think it's better for the two to have another child, so that both names can be used."

Lu Mingshi stiffened.

He almost grabbed the collar of the registered brother and shouted: "Do you know how difficult it is to have a baby???"

But that exposed the fact that the child was born to him.

So he held back.

Lu Mingshi took a deep breath, keeping his face kind: "We'll think about it."

The little brother was relieved and continued to serve with a smile.

Finally finalized the baby's name: Lu Jiujin.

Lu Mingshi looked a little dazed.

Gu Yixin held the freshly baked Xiao Jiu Jin and asked him what's wrong.

Lu Mingshi said, "I thought I had completed the task."

Gu Yixin raised his eyebrows: "Isn't this the task already completed?"

Lu Mingshi said in a deep voice, "You don't understand."

There must be a beginning and an end to a thing, and the child’s name is given, but there is no child to call it. How can it be done?

Lu Mingshi made a decision in his heart.

At this time, Gu Yixin coaxed the cub with a soft voice, ignorant of Lu Mingshi's inner world.


Two people came out of the hall and another reporter was onlookers.

Gu Yixin reflexes to block the baby's eyes.

But he soon discovered that this time all the reporters had turned off the flashlight tacitly.

Lu Mingshi was very angry at this assault, but he still couldn't lose his temper.

Taking into account the public image and the impact of this image on the company and their careers, he just stepped forward and faintly blocked the husband holding the cub behind him.

The reporters were all frightened by his aura, and the eager crowd paused slightly, not daring to move forward.

Lu Mingshi looked around and pointed at a reporter who was familiar with him. The other party immediately stepped forward knowingly.

That reporter had interviewed Lu Mingshi once or twice, and Lu Mingshi recognized him.

Lu Mingshi did not wait for him to ask a question, and stretched out his hand, which was an undoubted gesture.

The reporter had to hand him the microphone.

Lu Mingshi held the microphone in his left hand, stretched his right hand back, trying to hold Gu Yixin's hand, and then quickly realized that he was holding the cub with both hands.

So he had to put his nowhere right hand into the pocket of the windbreaker.

Then there was Lu Mingshi's speech by President Lu.

"Thanks to everyone, my body is now very healthy. Thank you for your concern."

He paused and adjusted his voice, his low voice revealed hoarseness, showing his apology and exhaustion.

"As for the many rumors on the Internet, I hope that everyone can look at them with a rational eye. The rumors are often true and false, and the false ones are true and true, which attract people's imagination."

"What I can reveal here is that, yes, the Lu family has indeed ushered in a new member. I will officially announce this in a few days later..."

His voice paused slightly, and at the time of this pause, Zai Zai squashed his mouth and started crying loudly.


His voice was crisp and loud, amplified by a nearby microphone, and accurately recorded by all reporters.

"……good news."

Lu Ming had a pain in his head, the blue veins on his forehead jumped twice, and he handed the microphone back to someone else, regardless of whether he was the reporter or not, he turned his head to coax the child.

President Lu Da, who was just still unleashing his majesty, turned into an expert at coaxing children, and his proficiency was comparable to that of a parenting wife.

I saw him take the child from Gu Yixin's arms without anyone else, gently patted the baby's back with his hand, and slapped the baby's head on the baby's head while worriedly asking Gu Yixin:

"Is it scared to lift him too high?"

The appearance of such an overwhelming motherhood is really shocking to everyone.

Fortunately, just as the crowds were overwhelmed.

The driver of the Lu family finally drove the car to the door after eight sturdy bodyguards cleared the way.

There were just a lot of people, and there was no need for the driver to open the door. One of the two bodyguards opened the door, and the other held his chest with both hands, staring at the crowd.

At this moment, Lu Mingshi, who was relaxed, had a kind tone.

"Don't be so fierce, keep smiling."

Brother Bodyguard has never heard such an order.

But they took a lot of money from the boss, enough for them to stand up and block the bullet.

Under the charm of money, all the boss' orders, they must resolutely complete.

As a result, the people saw that the evil eight bodyguard eldest brothers were facing all directions, and they all showed a cramped beautiful smile.

The shock of this smile is extremely strong. On the spot, a child was scared and cried and plunged into his mother's arms.

Lu Mingshi hugged the child and was about to get in the car.

At this time, a very brave reporter, with the fierce smile of the bodyguards, asked the question that everyone wanted to ask:

"Mr. Lu, we all want to know, if we can't reveal who the child's biological mother is, can you explain the relationship between Shao Gu and this child!"


Here are statistics of Lu Jiujin’s nickname provided by enthusiastic netizens:

Including but not limited to: five points, two yuan, one ton, three tons, Lili, Dali, 25, Liumao, Maomao, Zhuan (brick) Xu (required), Gulu, Gu Wuming, Gu move, Brick and Brick , Move, move bricks, Yi Shi, Gu Qing, Gu Jiujin, Lu Jiujin, Lu Xiaopang, Gu Yiming, Lu Yixin, Gu Zhuan, andsoon

There are two more!